=====
A | Below is a relaxed structure of Ba4Ta2O9, with properties calculated at the GGA-PBE level.

Cell: 6.184 10.702 16.640 Å, 90.00 90.00 90.00°
Fractional positions:
1 Ba 0.004 0.672 0.866
2 Ba 0.496 0.828 0.366
3 Ba 0.503 0.499 0.252
4 Ba 0.000 0.000 0.500
5 Ba 0.500 0.500 0.000
6 Ba 0.003 0.999 0.248
7 Ba 0.997 0.001 0.752
8 Ba 0.000 0.000 0.000
9 Ba 0.988 0.659 0.635
10 Ba 0.488 0.159 0.865
11 Ba 0.500 0.500 0.500
12 Ba 0.497 0.501 0.748
13 Ba 0.504 0.172 0.634
14 Ba 0.512 0.841 0.135
15 Ba 0.012 0.341 0.365
16 Ba 0.996 0.328 0.134
17 O 0.808 0.233 0.751
18 O 0.692 0.267 0.251
19 O 0.073 0.175 0.614
20 O 0.293 0.059 0.114
21 O 0.207 0.441 0.614
22 O 0.561 0.024 0.256
23 O 0.755 0.120 0.110
24 O 0.927 0.825 0.386
25 O 0.292 0.637 0.107
26 O 0.707 0.941 0.886
27 O 0.192 0.767 0.249
28 O 0.427 0.325 0.114
29 O 0.566 0.681 0.604
30 O 0.735 0.793 0.743
31 O 0.308 0.733 0.749
32 O 0.439 0.976 0.744
33 O 0.708 0.363 0.893
34 O 0.658 0.950 0.595
35 O 0.342 0.050 0.405
36 O 0.745 0.380 0.610
37 O 0.158 0.450 0.905
38 O 0.573 0.675 0.886
39 O 0.792 0.137 0.393
40 O 0.255 0.620 0.390
41 O 0.793 0.559 0.386
42 O 0.939 0.476 0.756
43 O 0.245 0.880 0.890
44 O 0.934 0.819 0.104
45 O 0.842 0.550 0.095
46 O 0.061 0.524 0.244
47 O 0.434 0.319 0.396
48 O 0.265 0.207 0.257
49 O 0.066 0.181 0.896
50 O 0.765 0.707 0.243
51 O 0.208 0.863 0.607
52 O 0.235 0.293 0.757
53 Ta 0.996 0.670 0.335
54 Ta 0.504 0.830 0.835
55 Ta 0.014 0.664 0.153
56 Ta 0.496 0.170 0.165
57 Ta 0.486 0.836 0.653
58 Ta 0.514 0.164 0.347
59 Ta 0.004 0.330 0.665
60 Ta 0.986 0.336 0.847

SG   P2_1/c, No. 14
Calculated volume   18.4 A^3/atom
Total magnetization   0.00 μB per cell


B | Below is a relaxed structure of Ba4Ta2O9, with properties calculated at the GGA-PBE level.

Cell: 6.090 10.571 18.903 Å, 56.10 90.00 90.00°
Fractional positions:
1 O 0.959 0.258 0.244
2 O 0.235 0.294 0.624
3 O 0.041 0.742 0.756
4 O 0.074 0.403 0.403
5 O 0.541 0.258 0.744
6 O 0.765 0.706 0.376
7 O 0.742 0.012 0.232
8 O 0.426 0.403 0.903
9 O 0.179 0.689 0.920
10 O 0.191 0.157 0.392
11 O 0.809 0.843 0.608
12 O 0.755 0.230 0.895
13 O 0.773 0.522 0.249
14 O 0.321 0.689 0.420
15 O 0.078 0.066 0.110
16 O 0.574 0.597 0.097
17 O 0.242 0.988 0.268
18 O 0.926 0.597 0.597
19 O 0.245 0.770 0.105
20 O 0.265 0.294 0.124
21 O 0.258 0.988 0.768
22 O 0.758 0.012 0.732
23 O 0.727 0.522 0.749
24 O 0.578 0.934 0.390
25 O 0.459 0.742 0.256
26 O 0.679 0.311 0.580
27 O 0.422 0.066 0.610
28 O 0.309 0.157 0.892
29 O 0.691 0.843 0.108
30 O 0.821 0.311 0.080
31 O 0.227 0.478 0.751
32 O 0.255 0.770 0.605
33 O 0.273 0.478 0.251
34 O 0.745 0.230 0.395
35 O 0.735 0.706 0.876
36 O 0.922 0.934 0.890
37 Ta 0.990 0.839 0.829
38 Ta 0.494 0.334 0.830
39 Ta 0.994 0.666 0.670
40 Ta 0.510 0.839 0.329
41 Ta 0.490 0.161 0.671
42 Ta 0.010 0.161 0.171
43 Ta 0.506 0.666 0.170
44 Ta 0.006 0.334 0.330
45 Ba 0.000 0.500 0.500
46 Ba 0.009 0.910 0.409
47 Ba 0.007 0.760 0.242
48 Ba 0.507 0.240 0.258
49 Ba 0.000 0.000 0.000
50 Ba 0.013 0.553 0.103
51 Ba 0.500 0.500 0.000
52 Ba 0.487 0.553 0.603
53 Ba 0.493 0.760 0.742
54 Ba 0.500 0.000 0.500
55 Ba 0.491 0.910 0.909
56 Ba 0.513 0.447 0.397
57 Ba 0.991 0.090 0.591
58 Ba 0.993 0.240 0.758
59 Ba 0.509 0.090 0.091
60 Ba 0.987 0.447 0.897

SG   P2_1/c, No. 14
Calculated volume   16.8 A^3/atom
Total magnetization   0.00 μB per cell


Energies, relative to the best one, in meV per atom: A 0; B 42.


A | Below is a relaxed structure of BaTm2O4, with properties calculated at the GGA-PBE level.

Cell: 3.427 10.404 12.044 Å, 90.00 90.00 90.00°
Fractional positions:
1 Tm 0.750 0.076 0.609
2 Tm 0.250 0.924 0.391
3 Tm 0.750 0.574 0.390
4 Tm 0.750 0.576 0.891
5 Tm 0.250 0.426 0.610
6 Tm 0.250 0.424 0.109
7 Tm 0.750 0.074 0.110
8 Tm 0.250 0.926 0.890
9 O 0.750 0.484 0.217
10 O 0.250 0.211 0.155
11 O 0.250 0.613 0.016
12 O 0.750 0.887 0.516
13 O 0.250 0.932 0.074
14 O 0.750 0.289 0.655
15 O 0.750 0.568 0.574
16 O 0.250 0.432 0.426
17 O 0.750 0.068 0.926
18 O 0.750 0.387 0.984
19 O 0.250 0.016 0.717
=====

Could you echo the whole of the calculation results earlier on without additions?

A | Below is a relaxed structure of Ba4Ta2O9, with properties calculated at the GGA-PBE level.

Cell: 6.184 10.702 16.640 Å, 90.00 90.00 90.00°
Fractional positions:
1 Ba 0.004 0.672 0.866
2 Ba 0.496 0.828 0.366
3 Ba 0.503 0.499 0.252
4 Ba 0.000 0.000 0.500
5 Ba 0.500 0.500 0.000
6 Ba 0.003 0.999 0.248
7 Ba 0.997 0.001 0.752
8 Ba 0.000 0.000 0.000
9 Ba 0.988 0.659 0.635
10 Ba 0.488 0.159 0.865
11 Ba 0.500 0.500 0.500
12 Ba 0.497 0.501 0.748
13 Ba 0.504 0.172 0.634
14 Ba 0.512 0.841 0.135
15 Ba 0.012 0.341 0.365
16 Ba 0.996 0.328 0.134
17 O 0.808 0.233 0.751
18 O 0.692 0.267 0.251
19 O 0.073 0.175 0.614
20 O 0.293 0.059 0.114
21 O 0.207 0.441 0.614
22 O 0.561 0.024 0.256
23 O 0.755 0.120 0.110
24 O 0.927 0.825 0.386
25 O 0.292 0.637 0.107
26 O 0.707 0.941 0.886
27 O 0.192 0.767 0.249
28 O 0.427 0.325 0.114
29 O 0.566 0.681 0.604
30 O 0.735 0.793 0.743
31 O 0.308 0.733 0.749
32 O 0.439 0.976 0.744
33 O 0.708 0.363 0.893
34 O 0.658 0.950 0.595
35 O 0.342 0.050 0.405
36 O 0.745 0.380 0.610
37 O 0.158 0.450 0.905
38 O 0.573 0.675 0.886
39 O 0.792 0.137 0.393
40 O 0.255 0.620 0.390
41 O 0.793 0.559 0.386
42 O 0.939 0.476 0.756
43 O 0.245 0.880 0.890
44 O 0.934 0.819 0.104
45 O 0.842 0.550 0.095
46 O 0.061 0.524 0.244
47 O 0.434 0.319 0.396
48 O 0.265 0.207 0.257
49 O 0.066 0.181 0.896
50 O 0.765 0.707 0.243
51 O 0.208 0.863 0.607
52 O 0.235 0.293 0.757
53 Ta 0.996 0.670 0.335
54 Ta 0.504 0.830 0.835
55 Ta 0.014 0.664 0.153
56 Ta 0.496 0.170 0.165
57 Ta 0.486 0.836 0.653
58 Ta 0.514 0.164 0.347
59 Ta 0.004 0.330 0.665
60 Ta 0.986 0.336 0.847

SG   P2_1/c, No. 14
Calculated volume   18.4 A^3/atom
Total magnetization   0.00 μB per cell


B | Below is a relaxed structure of Ba4Ta2O9, with properties calculated at the GGA-PBE level.

Cell: 6.090 10.571 18.903 Å, 56.10 90.00 90.00°
Fractional positions:
1 O 0.959 0.258 0.244
2 O 0.235 0.294 0.624
3 O 0.041 0.742 0.756
4 O 0.074 0.403 0.403
5 O 0.541 0.258 0.744
6 O 0.765 0.706 0.376
7 O 0.742 0.012 0.232
8 O 0.426 0.403 0.903
9 O 0.179 0.689 0.920
10 O 0.191 0.157 0.392
11 O 0.809 0.843 0.608
12 O 0.755 0.230 0.895
13 O 0.773 0.522 0.249
14 O 0.321 0.689 0.420
15 O 0.078 0.066 0.110
16 O 0.574 0.597 0.097
17 O 0.242 0.988 0.268
18 O 0.926 0.597 0.597
19 O 0.245 0.770 0.105
20 O 0.265 0.294 0.124
21 O 0.258 0.988 0.768
22 O 0.758 0.012 0.732
23 O 0.727 0.522 0.749
24 O 0.578 0.934 0.390
25 O 0.459 0.742 0.256
26 O 0.679 0.311 0.580
27 O 0.422 0.066 0.610
28 O 0.309 0.157 0.892
29 O 0.691 0.843 0.108
30 O 0.821 0.311 0.080
31 O 0.227 0.478 0.751
32 O 0.255 0.770 0.605
33 O 0.273 0.478 0.251
34 O 0.745 0.230 0.395
35 O 0.735 0.706 0.876
36 O 0.922 0.934 0.890
37 Ta 0.990 0.839 0.829
38 Ta 0.494 0.334 0.830
39 Ta 0.994 0.666 0.670
40 Ta 0.510 0.839 0.329
41 Ta 0.490 0.161 0.671
42 Ta 0.010 0.161 0.171
43 Ta 0.506 0.666 0.170
44 Ta 0.006 0.334 0.330
45 Ba 0.000 0.500 0.500
46 Ba 0.009 0.910 0.409
47 Ba 0.007 0.760 0.242
48 Ba 0.507 0.240 0.258
49 Ba 0.000 0.000 0.000
50 Ba 0.013 0.553 0.103
51 Ba 0.500 0.500 0.000
52 Ba 0.487 0.553 0.603
53 Ba 0.493 0.760 0.742
54 Ba 0.500 0.000 0.500
55 Ba 0.491 0.910 0.909
56 Ba 0.513 0.447 0.397
57 Ba 0.991 0.090 0.591
58 Ba 0.993 0.240 0.758
59 Ba 0.509 0.090 0.091
60 Ba 0.987 0.447 0.897

SG   P2_1/c, No. 14
Calculated volume   16.8 A^3/atom
Total magnetization   0.00 μB per cell


Energies, relative to the best one, in meV per atom: A 0; B 42.


A | Below is a relaxed structure of BaTm2O4, with properties calculated at the GGA-PBE level.

Cell: 3.427 10.404 12.044 Å, 90.00 90.00 90.00°
Fractional positions:
1 Tm 0.750 0.076 0.609
2 Tm 0.250 0.924 0.391
3 Tm 0.750 0.574 0.390
4 Tm 0.750 0.576 0.891
5 Tm 0.250 0.426 0.610
6 Tm 0.250 0.424 0.109
7 Tm 0.750 0.074 0.110
8 Tm 0.250 0.926 0.890
9 O 0.750 0.484 0.217
10 O 0.250 0.211 0.155
11 O 0.250 0.613 0.016
12 O 0.750 0.887 0.516
13 O 0.250 0.932 0.074
14 O 0.750 0.289 0.655
15 O 0.750 0.568 0.574
16 O 0.250 0.432 0.426
17 O 0.750 0.068 0.926
18 O 0.750 0.387 0.984
19 O 0.250 0.016 0.717